Hi maids, moms, grandmas! Let’s celebrate your girl!

I am so excited to meet you all and celebrate this bride who all of you hold so dear! You are in a special position to help make this event one of the best memories of her entire life. Here are some tips about how you can make our morning go as smoothly as possible.

  • First and foremost, please let the bride know ASAP what services (hair, makeup, or both) you want! We need this information for the timeline, so the sooner the better.

  • Ladies, you should not be showing up to the venue with damp hair or leftover mascara on your face. We don't have time to blow dry your hair before styling, and getting up out of the chair to wash your face or put in eye drops is going to put us behind too. Our timeline is only as effective as the people participating in it! Please do whatever you need to do to be able to sit and stay in the chair the second your time comes, because being late potentially means making our bride late, too. Please show up with your face and hair ready for glam! Also, don't forget to bring all the important items (cash, dress, hygiene/beauty products, jewelry, gifts).

~~~
No. 1
A structure of composition C21H28ClKN4O10S. Source: the OMol25 dataset; level of theory: the ωB97M-V functional and the def2-TZVPD basis.

CARTESIAN COORDINATES (ANGSTROEM)
K  -0.841  -0.271  -0.126
C  -3.071  3.153  -0.493
C  -2.759  2.298  0.706
C  -3.614  1.258  1.058
C  -3.338  0.435  2.145
C  -4.263  -0.702  2.482
C  -2.171  0.654  2.873
C  -1.290  1.680  2.539
C  0.014  1.841  3.271
C  -1.606  2.501  1.459
H  -2.247  3.830  -0.713
H  -3.981  3.737  -0.330
H  -3.233  2.520  -1.368
H  -4.491  1.060  0.450
H  -4.171  -1.487  1.731
H  -5.303  -0.365  2.496
H  -4.016  -1.138  3.449
H  -1.924  -0.013  3.691
H  0.338  2.884  3.273
H  0.786  1.242  2.776
H  -0.071  1.500  4.304
H  -0.919  3.290  1.171
O  2.831  -1.702  1.372
C  2.264  -0.870  0.634
O  1.565  0.118  0.983
C  2.339  -1.112  -0.898
O  3.459  -1.032  -1.476
O  1.244  -1.366  -1.459
O  -5.096  -0.466  -1.642
Cl  -3.796  -1.045  -1.863
O  -3.859  -2.012  -2.928
O  -2.849  0.001  -2.206
O  -3.335  -1.691  -0.646
C  1.522  -4.241  0.006
N  0.721  -3.520  0.978
C  -0.604  -3.517  1.092
S  -1.375  -2.957  2.497
N  -1.356  -3.984  0.056
C  -1.016  -3.779  -1.356
H  2.520  -4.330  0.428
H  1.611  -3.714  -0.942
H  1.101  -5.236  -0.157
H  1.251  -2.950  1.632
H  -2.335  -3.863  0.260
H  -0.578  -4.673  -1.804
H  -0.315  -2.951  -1.481
H  -1.935  -3.533  -1.883
O  5.891  2.018  1.027
C  5.907  1.577  -0.312
N  4.599  1.351  -0.872
C  3.741  2.380  -0.897
O  4.015  3.497  -0.439
C  2.431  2.117  -1.567
C  2.340  1.425  -2.765
C  1.087  1.225  -3.327
C  -0.024  1.694  -2.651
N  0.047  2.333  -1.477
C  1.253  2.541  -0.966
H  5.306  2.791  1.013
H  6.451  0.635  -0.337
H  6.428  2.319  -0.932
H  4.248  0.378  -1.032
H  3.229  1.021  -3.229
H  0.966  0.668  -4.245
H  -1.022  1.512  -3.035
H  1.299  3.039  -0.004

Summary:
Net charge: -2
Maximum force (eV/Å): 0.23
Energy above the lowest of the compared OMol25 structures with the same formula, charge and spin (kJ/mol): 12.05
Frontier orbital gap (eV): 6.585

No. 2
A structure of composition C34H39BCsF5N12OSSi. Source: the OMol25 dataset; level of theory: the ωB97M-V functional and the def2-TZVPD basis.

CARTESIAN COORDINATES (ANGSTROEM)
Cs  -0.763  -1.047  -0.179
C  -2.424  -3.729  3.888
C  -2.402  -2.467  3.271
N  -1.179  -2.136  2.889
N  -0.387  -3.164  3.249
C  -1.112  -4.138  3.847
B  1.113  -3.273  2.928
N  1.316  -4.027  1.594
C  2.456  -4.567  1.119
C  2.231  -4.974  -0.177
C  0.887  -4.628  -0.409
N  0.342  -4.068  0.659
N  1.817  -1.887  2.850
C  3.006  -1.537  3.394
C  3.360  -0.304  2.897
C  2.309  0.030  2.027
N  1.392  -0.928  2.004
N  1.762  -4.043  4.108
C  1.673  -3.658  5.401
C  2.319  -4.596  6.170
C  2.768  -5.547  5.235
N  2.421  -5.214  4.001
H  -3.265  -4.259  4.299
H  -3.220  -1.784  3.096
H  -0.639  -5.042  4.196
H  3.327  -4.653  1.746
H  2.917  -5.471  -0.843
H  0.293  -4.794  -1.295
H  3.506  -2.182  4.097
H  4.237  0.274  3.135
H  2.160  0.938  1.458
H  1.153  -2.752  5.670
H  2.441  -4.598  7.240
~~~

  • Nothing is more frustrating than 8 different people getting up in the bride's face all morning long asking a million questions. If it is something you can answer, please go ahead and answer it. If you have some time before or after makeup, go downstairs and check on everything. You should talk to your bride well before the wedding day and get an idea of decor, colors, seating arrangements, drinks, music, etc., so that you are prepared to take some of the pressure off the bride while she's trying to enjoy her morning. Ask her before the wedding if there are specific tasks she wants you to do. Have a list of vendors who are supposed to be showing up, and look to see that they do. Offer to take the bride's phone to take her texts and calls. Take care of food for the bridal party as well as the boys, try to walk around the bridal suite and clean up trash before photography arrives, help the bride gather items for detail photos, get the bride water/food/champagne, steam dresses in another room, and just find ways to help out. Take lots and lots of pictures and videos throughout the day!

  • Are you all making the bride a scrapbook filled with pictures throughout the years and heartfelt letters? That is amazing, and she is going to LOVE it so much! However, please give it to her BEFORE we do her wedding makeup. First thing when she wakes up, or better yet, at the rehearsal dinner the night before is perfect. That way, we eliminate a few potential tears after makeup is finished.